Material:
Entry 1:
Structure and theoretical powder X-ray diffraction pattern of Si3Tc5 (a structure optimized by DFT (GGA-PBE); Cu Kα X-rays).
Neutral-atom scattering factors, no anomalous dispersion.

Crystal structure
abc: 7.1125 7.1125 7.1125
angles: 96.72 96.72 140.00
Positions (direct):
Si1 0.1699 0.6699 0.8398
Si2 0.2500 0.2500 0.0000
Si3 0.3301 0.1699 0.5000
Si4 0.6699 0.8301 0.5000
Si5 0.7500 0.7500 0.0000
Si6 0.8301 0.3301 0.1602
Tc1 0.0749 0.2223 0.2973
Tc2 0.2223 0.9251 0.1474
Tc3 0.2500 0.7500 0.5000
Tc4 0.2777 0.4251 0.7027
Tc5 0.4251 0.7223 0.1474
Tc6 0.5749 0.2777 0.8526
Tc7 0.7223 0.5749 0.2973
Tc8 0.7500 0.2500 0.5000
Tc9 0.7777 0.0749 0.8526
Tc10 0.9251 0.7777 0.7027

Largest 8 diffraction maxima, by intensity, 10° ≤ 2θ ≤ 90°:
- d 2.074, I = 100
- d 2.308, I = 69
- d 1.967, I = 56
- d 2.114, I = 53
- d 2.163, I = 35
- d 3.191, I = 30
- d 2.989, I = 27
- d 2.432, I = 26



Entry 2:
Structure and theoretical powder X-ray diffraction pattern of Si7Tc4 (a structure optimized by DFT (GGA-PBE); Cu Kα X-rays).
Neutral-atom scattering factors, no anomalous dispersion.

Crystal structure
abc: 5.7672 5.7672 18.1782
angles: 90.00 90.00 90.00
Positions (direct):
Si1 0.1501 0.1925 0.1147
Si2 0.1501 0.8075 0.6147
Si3 0.1529 0.3286 0.8166
Si4 0.1529 0.6714 0.3166
Si5 0.1925 0.1501 0.3853
Si6 0.1925 0.8499 0.8853
Si7 0.2277 0.3493 0.5397
Si8 0.2277 0.6507 0.0397
Si9 0.3286 0.1529 0.6834
Si10 0.3286 0.8471 0.1834
Si11 0.3407 0.3407 0.2500
Si12 0.3407 0.6593 0.7500
Si13 0.3493 0.2277 0.9603
Si14 0.3493 0.7723 0.4603
Si15 0.6507 0.2277 0.4603
Si16 0.6507 0.7723 0.9603
Si17 0.6593 0.3407 0.7500
Si18 0.6593 0.6593 0.2500
Si19 0.6714 0.1529 0.1834
Si20 0.6714 0.8471 0.6834
Si21 0.7723 0.3493 0.0397
Si22 0.7723 0.6507 0.5397
Si23 0.8075 0.1501 0.8853
Si24 0.8075 0.8499 0.3853
Si25 0.8471 0.3286 0.3166
Si26 0.8471 0.6714 0.8166
Si27 0.8499 0.1925 0.6147
Si28 0.8499 0.8075 0.1147
Tc1 0.0000 0.0000 0.0000
Tc2 0.0000 0.0000 0.2500
Tc3 0.0000 0.0000 0.5000
Tc4 0.0000 0.0000 0.7500
Tc5 0.0000 0.5000 0.1926
Tc6 0.0000 0.5000 0.4352
Tc7 0.0000 0.5000 0.6926
Tc8 0.0000 0.5000 0.9352
Tc9 0.5000 0.0000 0.0648
Tc10 0.5000 0.0000 0.3074
Tc11 0.5000 0.0000 0.5648
Tc12 0.5000 0.0000 0.8074
Tc13 0.5000 0.5000 0.1302
Tc14 0.5000 0.5000 0.3698
Tc15 0.5000 0.5000 0.6302
Tc16 0.5000 0.5000 0.8698

Largest 8 diffraction maxima, by intensity, 10° ≤ 2θ ≤ 90°:
- d 2.243, I = 100
- d 3.570, I = 77
- d 1.985, I = 60
- d 2.884, I = 43
- d 1.771, I = 37
- d 2.039, I = 35
- d 1.422, I = 23
- d 1.290, I = 16



Entry 3:
Structure and theoretical powder X-ray diffraction pattern of Si2Tc2Te (a structure optimized by DFT (GGA-PBE); Cu Kα X-rays).
Neutral-atom scattering factors, no anomalous dispersion.

Crystal structure
abc: 3.5132 3.5132 13.1694
angles: 90.00 90.00 90.00
Positions (direct):
Si1 0.0000 0.5000 0.2500
Si2 0.0000 0.5000 0.7500
Si3 0.5000 0.0000 0.2500
Si4 0.5000 0.0000 0.7500
Tc1 0.0000 0.0000 0.1179
Tc2 0.0000 0.0000 0.8821
Tc3 0.5000 0.5000 0.3821
Tc4 0.5000 0.5000 0.6179
Te1 0.0000 0.0000 0.5000
Te2 0.5000 0.5000 0.0000

Largest 8 diffraction maxima, by intensity, 10° ≤ 2θ ≤ 90°:
- d 2.743, I = 100
- d 2.107, I = 66
- d 2.484, I = 45
- d 2.324, I = 41
- d 1.757, I = 31
- d 1.349, I = 31
- d 1.479, I = 29
- d 6.585, I = 21

=====

Record 1
For AgPtRh2, a structure optimized by DFT (GGA-PBE) gives the computed X-ray diffraction stick pattern in this record (Cu Ka).

Crystal structure
```
data_AgPtRh2
_symmetry_space_group_name_H-M 'P 4 m m'
_symmetry_Int_Tables_number 99
_symmetry_space_group_name_Hall 'P 4 -2'
_cell_length_a 2.7728
_cell_length_b 2.7728
_cell_length_c 8.0265
_cell_angle_alpha 90.00
_cell_angle_beta 90.00
_cell_angle_gamma 90.00
loop_
_atom_site_label
_atom_site_fract_x
_atom_site_fract_y
_atom_site_fract_z
Ag1 0.0000 0.0000 0.0000
Pt1 0.5000 0.5000 0.2697
Rh1 0.0000 0.0000 0.5120
Rh2 0.5000 0.5000 0.7338
```

Principal peaks in the range 10° ≤ 2θ ≤ 90°, low angle first:

Wanted:
Work out how many lines above have the word "Cu" in them; a number is enough.

Reply:
4